## Given
'''
# 1
Below is BSBr2 at its PBEsol-relaxed geometry, with properties calculated at the meta-GGA SCAN level. Values from VASP.

Volume: 18.43 Å³ per atom
ΔE_f (raw): 1.6634 eV/atom
E_tot: -12.331 eV per atom
Space group: Fm-3m (225)

```
&SYSTEM
  ibrav = 0, nat = 4, ntyp = 3
/
ATOMIC_SPECIES
Br 79.90 Br.upf
S 32.06 S.upf
B 10.81 B.upf
CELL_PARAMETERS angstrom
-0.254 4.034 -2.410
-2.906 3.415 1.429
1.750 3.959 1.848
ATOMIC_POSITIONS angstrom
Br -0.352 2.852 0.217
Br -1.057 8.556 0.650
S -0.705 5.704 0.433
B 0.000 0.000 0.000
```

# 2
Below is Cs2ZrI6 at its PBEsol-relaxed geometry, with properties calculated at the meta-GGA SCAN level. Values from VASP.

Volume: 42.43 Å³ per atom
ΔE_f (raw): -1.3995 eV/atom
E_tot: -37.707 eV per atom
Space group: Fm-3m (225)

```
&SYSTEM
  ibrav = 0, nat = 9, ntyp = 3
/
ATOMIC_SPECIES
I 126.90 I.upf
Zr 91.22 Zr.upf
Cs 132.91 Cs.upf
CELL_PARAMETERS angstrom
8.144 0.000 0.000
4.072 7.053 0.000
4.072 2.351 6.649
ATOMIC_POSITIONS angstrom
I 6.085 3.513 5.005
I 6.085 5.890 1.644
I 10.202 3.513 5.005
I 10.202 5.890 1.644
I 8.144 2.325 1.644
I 8.144 7.078 5.005
Zr 0.000 0.000 0.000
Cs 4.072 2.351 1.662
Cs 12.215 7.053 4.987
```

# 3
Below is Na2CoOsS at its PBEsol-relaxed geometry, with properties calculated at the meta-GGA SCAN level. Values from VASP.

Volume: 20.99 Å³ per atom
ΔE_f (raw): 0.6565 eV/atom
E_tot: -20.792 eV per atom
Space group: P4/mmm (123)

```
&SYSTEM
  ibrav = 0, nat = 5, ntyp = 4
/
ATOMIC_SPECIES
Os 190.23 Os.upf
Co 58.93 Co.upf
Na 22.99 Na.upf
S 32.06 S.upf
CELL_PARAMETERS angstrom
4.276 0.000 0.000
0.000 4.955 0.000
0.000 0.000 4.955
ATOMIC_POSITIONS angstrom
Os 2.138 0.000 0.000
Co 2.138 2.477 2.477
Na 0.000 0.000 2.477
Na 0.000 2.477 0.000
S 0.000 0.000 0.000
```

# 4
Below is CsHN2F at its PBEsol-relaxed geometry, with properties calculated at the meta-GGA SCAN level. Values from VASP.

Volume: 14.58 Å³ per atom
E_tot: -11.559 eV per atom
Space group: P4/mmm (123)

```
&SYSTEM
  ibrav = 0, nat = 5, ntyp = 4
/
ATOMIC_SPECIES
N 14.01 N.upf
H 1.01 H.upf
Cs 132.91 Cs.upf
F 19.00 F.upf
CELL_PARAMETERS angstrom
3.595 0.000 0.000
0.000 3.595 0.000
0.000 0.000 5.640
ATOMIC_POSITIONS angstrom
N 0.000 1.798 0.000
N 1.798 0.000 0.000
H 0.000 0.000 0.000
Cs 1.798 1.798 2.820
F 0.000 0.000 2.820
```

# 5
Below is KCaTa at its PBEsol-relaxed geometry, with properties calculated at the meta-GGA SCAN level. Values from VASP.

Volume: 39.74 Å³ per atom
E_tot: -26.275 eV per atom
DFT formation energy: 1.917 eV/atom
Space group: F-43m (216)

```
&SYSTEM
  ibrav = 0, nat = 3, ntyp = 3
/
ATOMIC_SPECIES
Ca 40.08 Ca.upf
Ta 180.95 Ta.upf
K 39.10 K.upf
CELL_PARAMETERS angstrom
5.525 0.000 0.000
2.762 4.784 0.000
2.762 1.595 4.511
ATOMIC_POSITIONS angstrom
Ca 2.762 1.595 1.128
Ta 5.525 3.190 2.255
K 0.000 0.000 0.000
```

# 6
Below is Ta2SiAg at its PBEsol-relaxed geometry, with properties calculated at the meta-GGA SCAN level. Values from VASP.

Volume: 15.90 Å³ per atom
ΔE_f (raw): 0.0199 eV/atom
E_tot: -43.617 eV per atom
Space group: P4/mmm (123)

```
&SYSTEM
  ibrav = 0, nat = 4, ntyp = 3
/
ATOMIC_SPECIES
Si 28.09 Si.upf
Ag 107.87 Ag.upf
Ta 180.95 Ta.upf
CELL_PARAMETERS angstrom
-2.503 0.665 1.169
-0.057 -2.520 1.312
3.724 3.137 6.190
ATOMIC_POSITIONS angstrom
Si 0.582 0.641 4.335
Ag -1.280 -0.927 1.240
Ta 2.699 2.274 4.487
Ta 1.024 0.863 1.703
```

# 7
Below is TiAsRhSe2 at its PBEsol-relaxed geometry, with properties calculated at the meta-GGA SCAN level. Values from VASP.

Volume: 21.42 Å³ per atom
ΔE_f (raw): 0.3733 eV/atom
E_tot: -21.656 eV per atom
Space group: P4/mmm (123)

```
&SYSTEM
  ibrav = 0, nat = 5, ntyp = 4
/
ATOMIC_SPECIES
Se 78.96 Se.upf
Ti 47.87 Ti.upf
Rh 102.91 Rh.upf
As 74.92 As.upf
CELL_PARAMETERS angstrom
4.730 0.000 0.000
0.000 4.730 0.000
0.000 0.000 4.787
ATOMIC_POSITIONS angstrom
Se 2.365 0.000 0.000
Se 0.000 2.365 0.000
Ti 0.000 0.000 0.000
Rh 2.365 2.365 2.394
As 0.000 0.000 2.394
```

# 8
'''

## Request
Count the lines further above that contain the word "Se" and give the number alone, please.

## Reply
3